Creation of Committee. | |
Membership and Qualifications. | |
Organization and Terms of Office. | |
Duties. | |
Meetings and Procedures. | |
Sunset. |
Editor’s Notes:
Former Chapter 5, Article XXVI (“Wage Theft Task Force”), which comprised former Secs. 5.260 through 5.260-5, was repealed by Ord. 4-19, File No. 180217, App. 1/25/2019, Eff. 2/25/2019.
Former Chapter 5, Article XXVI (“Back Streets Business Advisory Board”), which comprised former Secs. 5.260 through 5.265, was enacted by Ord. 279-04, File No. 041356, App. 11/26/2004, and amended in part by Ord. 8-08, File No. 071565, App. 1/18/2008. It expired by operation of its sunset provision on 12/31/2008.
The Board of Supervisors hereby establishes the South of Market Community Planning Advisory Committee (“Committee”).
(Added by Ord. 242-19, File No. 181215, App. 11/1/2019, Eff. 12/2/2019)
(a) The Committee shall consist of 11 voting members. Together, the members of the Committee shall represent the cultural diversity of the East SoMa, Central SoMa, and Western SoMa neighborhoods, and ideally will include renters of residences in the neighborhoods, resident homeowners in the neighborhoods, low-income residents, local merchants, and representatives of established neighborhood groups within the East SoMa, Central SoMa, and Western SoMa Plan Areas. All members shall live, work, or own a business within the boundaries of the East SoMa, Central SoMa, or Western SoMa Area Plans. When fully constituted, at least three members shall live within the boundaries of the East SoMa, Central SoMa, or Western SoMa Area Plans.
(b) Seats 1, 2, 3, 4, 5, 6, and 7 shall be held by individuals nominated by the District 6 Supervisor and appointed by the Board of Supervisors.
(1) Seat 1 shall be held by an individual who has small business expertise.
(2) Seat 2 shall be held by an individual with familiarity and experience in infrastructure and/or safety, as relating to pedestrians, bicyclists, or transit.
(3) Seat 3 shall be held by an individual who has familiarity and experience in historic preservation and/or cultural preservation.
(4) Seat 4 shall be held by an individual who has familiarity and experience in development and/or management of affordable housing.
(5) Seat 5 shall be held by an individual who provides direct social services to SoMa residents.
(6) Seats 6 and 7 shall have no additional required qualifications.
(c) Seats 8, 9, 10, and 11 shall be held by individuals appointed by the Mayor.
(1) Seat 8 shall be held by an individual with a record of advocacy for parks, recreation, and open space in San Francisco.
(2) Seat 9 shall be held by an individual who has expertise in employment development or represents labor interests.
(3) Seats 10 and 11 shall have no additional required qualifications.
(d) There shall be 11 alternate members of the Committee, one designated for each of the 11 seats. Alternate members shall be appointed for their respective seats in the same manner prescribed in subsections (b) and (c). The alternate members of the Committee ideally will meet the requirements set forth in subsections (b) and (c) for their respective seats, but in any event must meet the standards set for voting members in subsection (a). An alternate member shall temporarily serve on the Committee as a voting member when there is a vacancy in the seat, or when the seat is filled but the member holding the seat is absent from the meeting; the same is true for an alternate member temporarily serving on a subcommittee or working group.
(e) Each member and each alternate member of the Committee shall serve at the pleasure of their respective appointing authority and may be removed by their appointing authority at any time.
(Added by Ord. 242-19, File No. 181215, App. 11/1/2019, Eff. 12/2/2019)
(a) Members of the Committee shall serve three-year terms; provided, however, that the term of the initial appointees, including alternates, in Seats 1, 2, 7, and 8 shall expire at noon on August 1, 2021; the term of the initial appointees in Seats 3, 4, 9, and 10, including alternates, shall expire at noon on August 1, 2022; and the term of the initial appointees in Seats 5, 6, and 11, including alternates, shall expire at noon on August 1, 2023. There shall be no limits on the number of terms a member may serve on the Committee, as either a voting member or an alternate.
(b) Service on the Committee shall be voluntary and members shall receive no compensation from the City.
(c) Any voting member who misses three regular meetings of the Committee within a six-month period without the express approval of the Committee by majority vote at or before each missed meeting shall be deemed to have resigned from the Committee 10 days after the third unapproved absence. The Committee shall inform the Clerk of the Board of Supervisors in the case of a Board appointee, and the Mayor’s Office in the case of a mayoral appointee, of any such resignation. Any absence of a voting member of the Committee shall be deemed approved by the Committee, and shall not count as an unapproved absence, if the alternate member of the Committee designated for the seat attends a meeting in place of the absent voting member.
(d) The Planning Department, in consultation as appropriate with other members of the Interagency Planning and Implementation Committee described in Chapter 36 of the Administrative Code, shall provide expertise to the Committee as appropriate. The Planning Department shall provide administrative and clerical support for the Committee.
(Added by Ord. 242-19, File No. 181215, App. 11/1/2019, Eff. 12/2/2019)
(a) The general purpose of the Committee shall be to provide input to the Board of Supervisors, the Mayor, and City agencies regarding the implementation of the Central SoMa Plan, Western SoMa Area Plan, and East SoMa Area Plan. The City agencies to which the Committee may provide input include, but are not limited to, the Planning Department, the Mayor’s Office of Housing and Community Development, the Office of Economic and Workforce Development, the Municipal Transportation Agency, the Recreation and Park Department, the Department of Public Works, the Arts Commission, and the Interagency Planning and Implementation Committee. The Committee’s prioritization of revenue expenditures described in subsection (b) below that are collected from development projects in the Central SoMa Plan Area shall be consistent with the Central SoMa Implementation Program document.
(b) The Committee may provide advice regarding the following:
(1) Prioritization of community improvement projects and other public investments funded by the Central SoMa Infrastructure Impact Fund, established in Planning Code Section 433.4, including review of any proposed In-Kind Agreements;
(2) Prioritization of community improvement projects and other public investments related to transit, parks and recreation, complete streets, and environmental sustainability that are funded by proceeds of the Central SoMa Community Facilities District special tax, as described in Planning Code Section 434;
(3) Prioritization of community improvement projects and other public investments funded with Eastern Neighborhoods Impact Fee revenues collected from development projects within East SoMa, Central SoMa, and Western SoMa pursuant to Planning Code Section 423, including review of any proposed In-Kind Agreements;
(4) Proposed revisions or updates to the Central SoMa Implementation Program Document;
(5) Proposed revisions to the sections of the Planning Code or other Codes that are related to implementation of the Central SoMa Plan, Western SoMa Area Plan, and East SoMa Area Plan; and
(6) Monitoring implementation of the Central SoMa Plan, Western SoMa Area Plan, and East SoMa Area Plan.
(c) The Committee also may provide advice on the following issues regarding development projects and proposals within the boundaries of the East SoMa Area Plan, Central SoMa Plan, or Western SoMa Area Plan, or within 0.25 miles of the boundaries of said area plans but outside the boundaries of the Showplace Square/Potrero Hill, Mission, Central Waterfront, and Market and Octavia Area Plans:
(1) Individual development proposals;
(2) Compliance by individual development projects with specific conditions of project approvals;
(3) Design and programming of open spaces, including Privately-Owned Public Open Spaces (POPOS); and
(4) Development proposals for public properties.
(d) City agencies may seek input from the Committee on policy matters regarding land use and zoning changes, capital improvement plans, and other activities that implement the Central SoMa Plan, Western SoMa Area Plan, and East SoMa Area Plan.
(e) The Committee shall collaborate with the Planning Department and relevant city agencies in monitoring implementation of the Central SoMa Plan, Western SoMa Area Plan, and East SoMa Area Plan at approximately every fifth year, in coordination with the duties required by this Section 5.26-4 and Administrative Code Section 10.E;1
<<<
1.
The following is a DFT calculation (ωB97M-V/def2-TZVPD) of a molecular structure, C2H5FSi at a distorted geometry.

## Properties
Lowest unoccupied orbital energy = 0.627 eV
Relative energy (zero: lowest compared OMol25 entry of this formula, charge and spin) = 3.799 eV
Orbital gap = 0.414 Eh

Geometry (Å):
C  -1.048305  1.164867  0.049635
C  -0.513107  -0.013413  -0.012850
F  -1.770593  -1.249841  -0.181967
Si  1.224366  -0.757311  -0.004950
H  -0.658779  2.174362  -0.044683
H  -2.158400  1.034430  0.121360
H  2.031994  -0.332609  1.170631
H  1.044657  -2.233963  -0.353149
H  1.848166  0.213474  -0.744027

Atomic forces in eV per Å
C -2.6 -0.2 -0.2
C -1.5 -2.7 -0.2
F 3.1 2.9 0.7
Si -1.5 -1.4 1.3
H 0.4 -0.5 0.3
H 0.8 0.6 -0.2
H -0.5 -0.8 0.6
H 0.6 1.1 0.1
H 1.2 1.2 -2.4

natural (NBO) population analysis, charges in e, atoms 1 to 6: number 1, C, carries -0.484; number 2, C, carries 0.038; number 3, F, carries -0.499; number 4, Si, carries 0.828; number 5, H, carries 0.251; number 6, H, carries 0.264


2.
The following is a DFT calculation (ωB97M-V/def2-TZVPD) of a molecular structure, C3H6NO at a distorted geometry.

## Properties
Lowest unoccupied orbital energy = -5.000 eV
Relative energy (zero: lowest compared OMol25 entry of this formula, charge and spin) = 2.689 eV
Orbital gap = 0.379 Eh
Total charge = +1

Geometry (Å):
C  1.070288  -0.907934  0.034137
C  -0.148140  -0.109702  -0.550663
C  0.845340  1.075073  -0.270002
N  -1.027367  0.519414  0.447975
O  1.729078  0.386948  0.375182
H  0.898623  -1.627187  0.976260
H  1.685557  -1.446214  -0.706410
H  -0.707538  -0.565046  -1.489140
H  1.035923  2.176085  -0.247767
H  -1.892539  1.054687  0.033435
H  -1.071511  0.148115  1.330773

Atomic forces in eV per Å
C -0.9 -1.8 1.9
C -0.1 0.3 -0.9
C 0.1 -0.5 -0.1
N -0.9 2.0 -3.9
O -0.6 -0.4 -0.3
H 0.4 1.9 -2.0
H -0.4 0.4 0.3
H 1.6 1.5 1.7
H -1.0 -0.8 -0.5
H 2.4 -1.6 1.4
H -0.5 -1.1 2.4

natural (NBO) population analysis, charges in e, atoms 1 to 6: number 1, C, carries -0.095; number 2, C, carries -0.127; number 3, C, carries 0.434; number 4, N, carries -0.766; number 5, O, carries -0.365; number 6, H, carries 0.253


3.
The following is a DFT calculation (ωB97M-V/def2-TZVPD) of a molecular structure, C7H16Br12IO5PSTa at a distorted geometry.

## Properties
Lowest unoccupied orbital energy = 0.712 eV
Orbital gap = 0.188 Eh
Total charge = -1

Geometry (Å):
C  0.440263  0.352993  -2.026036
O  0.984975  1.226647  -2.960677
C  0.710794  2.591313  -2.649839
Ta  1.997450  3.564905  -1.014817
O  0.573133  5.051342  -0.759423
C  3.647208  2.009358  -1.362637
S  4.419085  2.029395  -2.924646
O  5.565548  2.873207  -2.885087
O  3.510625  2.310881  -3.989992
P  3.270168  4.415745  1.121378
O  4.873181  4.558090  0.704955
I  3.273761  2.517083  2.740742
H  -0.648743  0.387205  -2.012250
H  0.717031  -0.651513  -2.314603
H  0.816493  0.518200  -1.018336
H  -0.359526  2.720649  -2.482271
H  0.961025  3.159041  -3.540787
H  1.110673  2.462035  0.198765
>>>
_End of the calculated molecules_
and provide input to Plan Area monitoring efforts for required time-series reporting.
(f) The Committee shall coordinate with the SoMa Community Stabilization Fund Community Advisory Committee established in Administrative Code Chapter 5, Article XXVII, when providing advice on matters within the programmatic jurisdiction of both committees.
(Added by Ord. 242-19, File No. 181215, App. 11/1/2019, Eff. 12/2/2019)
(a) The Board of Supervisors and Mayor shall make initial appointments to the Committee by no later than three months after the effective date of the ordinance in Board File No. 181215 establishing the Committee. The Committee shall hold its inaugural meeting not more than 30 days after voting members have been appointed to six seats. There shall be at least 10 days’ notice of the inaugural meeting. Following the inaugural meeting, the Committee shall hold a regular meeting not less than once every three months until the sunset date set forth in Section 5.26-6.
(b) The Committee shall elect its officers and may establish bylaws and rules for its organization and procedures. The Committee may establish subcommittees or working groups. Each such subcommittee or working group shall include at least two voting Committee members, but may also include other individuals selected by the Committee who are not voting members of the Committee.
(Added by Ord. 242-19, File No. 181215, App. 11/1/2019, Eff. 12/2/2019)
Unless the Board of Supervisors by ordinance extends the term of the Committee, this Article XXVI
, and hence the Committee, shall expire by operation of law, and the Committee shall terminate, on January 1, 2035. After that date, the City Attorney shall cause this Article XXVI
to be removed from the Administrative Code. Notwithstanding Rule 2.21 of the Board of Supervisors Rules of Order, which provides that advisory bodies created by the Board should sunset within three years, the Board intends the Committee to exist for longer than three years.
(Added by Ord. 242-19, File No. 181215, App. 11/1/2019, Eff. 12/2/2019)